Difficulties in teaching pronunciation

Серпень 15th, 20116:45 am


Difficulties in teaching pronunciation

Difficulties in teaching pronunciation:

1. The first difficulty is concerned with ear. The need for training the ear to observe and analyze will be clearly perceived when it is realized that accurate imitation is impossible so long as accurate hearing is not achieved. Accurate hearing is the fundamental condition for accurate imitation. The only effective method for training the ear consists in systematic practice in listening to authentic speech.

2. The second difficulty is concerned with the matter of learning to make the English speech sounds with your own organs of speech. You will achieve this with the greatest accuracy and in the shortest possible time if you know precisely what to do with your tongue, lips, etc. If you know what positions the organs of speech must take up and what actions they must perform in order to produce desired results. Some of the positions and some of the actions will no doubt be quite unfamiliar ones; you may have difficulty in performing the required actions even when you know just what you ought to do, and, of course, you will always be hampered by the speech habits of your mother tongue. The way to overcome this particular difficulty is — firstly, to study the theory of speech sounds (phonetic theory), and secondly, to do when necessary suitable exercises based on that theory. These will break down the old habits and help to form new ones.

3. The third difficulty is entirely different: it is that of knowing and remembering the distribution of the speech sounds. In other words, which phonemes are the right ones to employ for any given word or sentence, and in what order they occur. We are accustomed to look to the conventional spelling of a language for information concerning the appropriate sequence of sounds to be used. If English spelling were consistent, it would, of course, give us that information. Unfortunately, it is very far from being consistent, as a few examples will show:

One letter often stands for different sounds in different words – the a’s in many, mast, waste, watch, wall: the o’s in love, stove, snow, or those in done, bone gone; the e’s in meat, great, head, heart, heard, bear; compare also the spelling ough in thought, though, through, trough, enough

What comes next are calculated crystals, not part of the piece:
/*
[1]
Ac2CdHg: relaxed, GGA-PBE.

Properties
ΔH_f (0 K) = -364 meV/atom
space-group type = Fm-3m (225)

Unit cell a=5.750 b=5.750 c=5.750 alpha=60.00 beta=60.00 gamma=60.00
Fractional coordinates of all 4 atoms:
Ac: 0.750 0.750 0.750
Ac: 0.250 0.250 0.250
Cd: 0.500 0.500 0.500
Hg: 0.000 0.000 0.000


[2]
Ba4Y2Cu5PdO14: relaxed, GGA-PBE.

Properties
ΔH_f (0 K) = -2168 meV/atom
spin magnetization = 0.0212 μB/atom
space-group type = Pmmm (47)
energy above the lowest structure with this stoichiometry = 0 meV/atom

Unit cell a=3.832 b=3.949 c=24.021 alpha=90.00 beta=90.00 gamma=90.00
Fractional coordinates of all 26 atoms:
Ba: 0.500 0.500 0.090
Ba: 0.500 0.500 0.594
Ba: 0.500 0.500 0.406
Ba: 0.500 0.500 0.910
Y: 0.500 0.500 0.248
Y: 0.500 0.500 0.752
Cu: 0.000 0.000 0.177
Cu: 0.000 0.000 0.679
Cu: 0.000 0.000 0.321
Cu: 0.000 0.000 0.823
Cu: 0.000 0.000 0.000
Pd: 0.000 0.000 0.500
O: 0.000 0.000 0.078
O: 0.000 0.000 0.585
O: 0.000 0.000 0.415
O: 0.000 0.000 0.922
O: 0.000 0.500 0.000
O: 0.000 0.500 0.500
O: 0.500 0.000 0.190
O: 0.500 0.000 0.693
O: 0.500 0.000 0.307
O: 0.500 0.000 0.810
O: 0.000 0.500 0.189
O: 0.000 0.500 0.691
O: 0.000 0.500 0.309
O: 0.000 0.500 0.811


[3]
KSmHf4O12: relaxed, GGA-PBE.

Properties
ΔH_f (0 K) = -3197 meV/atom
spin magnetization = 0.2222 μB/atom
space-group type = Amm2 (38)

Unit cell a=5.783 b=5.783 c=8.240 alpha=90.00 beta=90.00 gamma=90.75
Fractional coordinates of all 18 atoms:
K: 0.981 0.019 0.000
Sm: 0.524 0.476 0.500
Hf: 0.493 0.991 0.246
Hf: 0.493 0.991 0.754
Hf: 0.009 0.507 0.754
Hf: 0.009 0.507 0.246
O: 0.235 0.235 0.269
O: 0.765 0.765 0.269
O: 0.765 0.765 0.731
O: 0.235 0.235 0.731
O: 0.293 0.707 0.309
O: 0.723 0.277 0.254
O: 0.723 0.277 0.746
O: 0.293 0.707 0.691
O: 0.476 0.982 0.000
O: 0.515 0.065 0.500
O: 0.018 0.524 0.000
O: 0.935 0.485 0.500


[4]
Ca2SiO4: relaxed, GGA-PBE.

Properties
ΔH_f (0 K) = -3468 meV/atom
spin magnetization = 0.0000 μB/atom
space-group type = P2_1/c (14)
energy above the lowest structure with this stoichiometry = 8 meV/atom

Unit cell a=8.295 b=5.772 c=9.211 alpha=61.78 beta=90.00 gamma=90.00
Fractional coordinates of all 28 atoms:
Ca: 0.988 0.147 0.637
Ca: 0.488 0.853 0.863
Ca: 0.158 0.582 0.127
Ca: 0.512 0.147 0.137
Ca: 0.658 0.418 0.373
Ca: 0.012 0.853 0.363
Ca: 0.342 0.582 0.627
Ca: 0.842 0.418 0.873
Si: 0.695 0.759 0.537
Si: 0.195 0.241 0.963
Si: 0.805 0.759 0.037
Si: 0.305 0.241 0.463
O: 0.179 0.484 0.435
O: 0.807 0.026 0.477
O: 0.563 0.788 0.395
O: 0.603 0.671 0.712
O: 0.103 0.329 0.788
O: 0.063 0.212 0.105
O: 0.321 0.484 0.935
O: 0.307 0.974 0.023
O: 0.693 0.026 0.977
O: 0.679 0.516 0.065
O: 0.937 0.788 0.895
O: 0.897 0.671 0.212
O: 0.397 0.329 0.288
O: 0.437 0.212 0.605
O: 0.193 0.974 0.523
O: 0.821 0.516 0.565


[5]
TbNi2Sb2: relaxed, GGA-PBE.

Properties
ΔH_f (0 K) = -655 meV/atom
spin magnetization = 0.0000 μB/atom
space-group type = P4/nmm (129)

Unit cell a=4.439 b=4.439 c=9.944 alpha=90.00 beta=90.00 gamma=90.00
Fractional coordinates of all 10 atoms:
*/

Conversely, one sound is often spelt in a number of different ways; thus the following words all have the same vowel sound: be, meet, meat, siege, seize, key, quay; so have talk, warm, sawn, sauce, course, coarse, force, broad, door, thought.

Many letters are not pronounced at all; the following words, for example, have one or more mute letters: know, debt, autumn, salmon, etc. There are two reasons for all this:

1. English spelling was fixed a great many years ago, whereas the pronunciation has continued to develop and has progressed very far since the day, when people wrote as they pronounced;

2. At various times, changes in the spelling were deliberately introduced by people who thought the spelling of words ought to indicate their origin, — incidentally they were often mistaken in the origin they attributed to them. These changes naturally did not correspond with the pronunciation. By making use of a phonetic transcription the foreign learner can avoid all those mispronunciations which come from relying solely on the ordinary spelling.

4. The third difficulty is concerned with a question of learning the correct usage in the matter of the length of the speech sounds, their stress (i.e. the amount of energy or breath-force expended upon them), and the intonation of the language, which means the musical rise and fall of the voice in connected speech.

5. The fourth difficulty is concerned with fluency, that is, the ability to pronounce whole sequences of sounds (sound groups) easily and quickly, without stopping and stumbling. The remedy is quite simple: it consists in continual repetition of sound-groups that presents difficulty slowly at first and then with gradually increasing speed.

The necessary facility will surely come, but you must set about acquiring it quite deliberately and systematically. It is not generally realized that in ordinary conversation people normally speak at a rate of some 300 syllables to the minute or five syllables per second. You should aim at this ideal when practising fluency exercises, and time yourself frequently to see how near you can get to it.

To sum it up, pronunciation represents a complete unity of acoustic, motor and sense-differentiating factors that are specific for every language. The acquisition of correct pronunciation largely depends on the ability of learners to master skills in discrimination of speech sounds, their proper articulation, and integration into coherent speech units, prosodic organization and fluency. In other words, phonetics proceeds from observation by way of analysis to classification, description and practice. Practical realization of communicative strategy in teaching pronunciation covers the issues of the content and media of instruction, classification of pronunciation exercises that lead to formation of habits and skills realized in real-life communication.

Social Aspect

A social aspect of teaching pronunciation is realized in communication. The process of communication represents an exchange of ideas between collocutors. In real-life communication the learner perceives a general idea of his partner’s utterance and then interprets and specifies its meaning according to a speech situation within the context of communication. The exchange of opinions is governed by communicative intent and acoustic-articulatory laws of pronunciation.

Linguistic Aspect

A linguistic aspect also involves mastery at the level of morpheme, word and word-combination, phrase, sentence, and text. Speech patterns are widely practised because they are easily remembered owing to their frequency and communicative intent, referential to a specific communicative task. A critical study of pronunciation instruction has revealed some essential drawbacks: a phoneme or a combination of phonemes, a word or a combination of words, a phrase or a syntagm is the basic unit of instruction (i.e. the bottom-up approach is used).

The learners are instructed in correct articulation; drills, analytical and imitative exercises have to assure appropriate quality of pronunciation. Such approach to pronunciation can be conventionally defined as linguistic as it mostly deals with various elements of pronunciation system. Monotonous drills and exercises, low motivation lead to the loss of interest in FLL and degradation of established habits in pronunciation, if such should exist at advanced levels of instruction.

Psychological Aspect

Psychological development of learners as simultaneously carried out along the lines of development of cognitive spheres (intellect formation, development of conscience mechanisms, a factor or circumstance that induces a person to act in a particular way); psychological structure of activity (aims, means, motives and their relationships); personality (values, self-consciousness and self-appraisal, etc.).

Methodological Aspect

Phonetical and analytical method of teaching pronunciation involves analysis and imitation because, on the one hand, every learner is capable of imitation to a larger or smaller extent, on the other hand, teaching pronunciation cannot be based on imitation only, especially with adults. The adults, learning a foreign language, adopt analytical approach to language phenomena therefore it is important that their capacities be developed in view of heuristic approach to language teaching. A communicative approach to language teaching made the problem of pronunciation instruction at an elementary level even more conspicuous. Communication presupposes a high degree of similitude of teaching process to the process of communication. As it was already mentioned, communicative method is based on the provision that teaching process is a model of the process of communication. This statement holds that instruction in pronunciation should be conducted under the conditions of real communication or, at least, imitate them. In other words the learners should not get prepared to speak, as prescribed in the introductory course, but begin to communicate at once. Teaching pronunciation should not be supplemented to speaking, but serve as a basis for speaking. It should also be an integral part in teaching vocabulary and grammar.

Thus, in teaching pronunciation two approaches could be applied: bottom-up and top-down. The bottom-up approach suggests that we start with the smallest units of language, i.e. individual speech sounds and move through mastery of words and sentences to discourse level. The top-down view, on the other hand, suggests that we start with the larger chunks of language, which are embedded into meaningful contexts, and their knowledge makes it possible to comprehend and use correctly the smaller elements of language. Proponents of top-down view of language teaching suggest that, rather than teaching learners to make well-formed sentences and then putting these to use in discourse, we should encourage learners to take part in discourse and thereby help them to master sentences.

Traditional approaches to teaching pronunciation starts with phonemes and their peculiarities; but realization and generalization of the approximated pronunciation habits is aimed at their form but not at communicative impact.

The afore-said makes it possible to recommend the following techniques for the initial stage of pronunciation instruction:

1) inculcation in learners of the habits of rhythm;

2) formation of intonation and rhythmic “grid” of a foreign utterance which will facilitate listening comprehension;

3) formation of aural and motor images for English lexical and grammatical structures based on associations with their meanings (comprehension is achieved via mime, gestures, pictures, objects, etc.);

4) formation of pronunciation habits of lexical and grammatical structures (via inner speech, exercises on conscious imitation);

5) stimulation of speech acts by means of oral exercises in view of individuality aspect.

The suggested procedures involve all aspects of English pronunciation system and speech acts are brought to the level of skill.

Близнюк М.І. Курс лекцій з методики викладання англійської мови. – Чернівці: ЧДУ, 1999 – с.